Friday, May 29, 2009

Your Future Chairman

Tablers and Circlers,
Have A look at the Incoming Chairman of MKRT 181.
Look How many faces he has changed in the last four years.
Think what he might do to the tablers of MKRT 181.
What will happen next Year to MKRT 181.

Chak De.....

Monday, May 4, 2009

MKRT 181 Blog reaches 75 Posts

Thanks to the inputs of Tabler we have been able to achieve 75 posts in our blog.
Way to go 181

[What comes next are molecular data, not part of the text]
........
{"formula": "C30H29N3", "method": "ωB97M-V/def2-TZVPD", "elements": ["C", "C", "C", "N", "C", "C", "C", "C", "C", "N", "C", "C", "H", "H", "H", "H", "H", "H", "H", "C", "C", "C", "C", "C", "N", "C", "C", "C", "C", "C", "C", "C", "C", "C", "C", "C", "C", "C", "C", "C", "H", "H", "H", "H", "H", "H", "H", "H", "H", "H", "H", "H", "H", "H", "H", "H", "H", "H", "H", "H", "H", "H"], "xyz": [[1.987, 1.006, -1.332], [1.013, 1.082, -2.443], [1.056, 0.049, -3.396], [1.103, -0.858, -4.148], [0.081, 2.141, -2.615], [-0.115, 3.158, -1.628], [-1.013, 4.188, -1.849], [-1.770, 4.235, -3.028], [-2.713, 5.294, -3.240], [-3.493, 6.149, -3.413], [-1.592, 3.251, -4.008], [-0.703, 2.208, -3.805], [1.876, 1.791, -0.582], [1.849, 0.040, -0.830], [3.021, 1.011, -1.715], [0.428, 3.110, -0.681], [-1.135, 4.976, -1.105], [-2.156, 3.313, -4.940], [-0.610, 1.420, -4.560], [-1.019, -1.156, 4.548], [-1.413, 0.106, 3.776], [-2.788, 0.585, 4.263], [-0.409, 1.239, 3.996], [-1.470, -0.249, 2.298], [-2.626, -0.194, 1.613], [-2.447, -0.572, 0.285], [-1.099, -0.918, 0.125], [-0.650, -1.238, -1.151], [-1.555, -1.198, -2.219], [-2.898, -0.845, -2.031], [-3.366, -0.518, -0.755], [-0.434, -0.698, 1.417], [0.933, -0.809, 1.671], [1.864, -1.638, 0.967], [1.519, -2.870, 0.344], [2.454, -3.560, -0.415], [3.741, -3.040, -0.612], [4.678, -3.700, -1.574], [4.132, -1.894, 0.095], [3.235, -1.243, 0.922], [-0.069, -1.571, 4.190], [-0.925, -0.930, 5.617], [-1.794, -1.926, 4.431], [-3.114, 1.485, 3.726], [-3.552, -0.199, 4.180], [-2.710, 0.849, 5.326], [-0.691, 2.111, 3.391], [-0.416, 1.533, 5.055], [0.610, 0.951, 3.729], [-3.532, 0.077, 1.987], [0.393, -1.512, -1.295], [-1.208, -1.442, -3.223], [-3.575, -0.823, -2.884], [-4.396, -0.235, -0.552], [1.340, -0.233, 2.501], [0.506, -3.262, 0.458], [2.176, -4.506, -0.892], [5.651, -3.199, -1.574], [4.820, -4.755, -1.309], [4.282, -3.667, -2.599], [5.153, -1.520, -0.016], [3.556, -0.379, 1.507]], "forces_ev_per_angstrom": [[0.6, -0.7, 0.3], [-0.9, 0.4, -0.7], [0.3, -1.0, -0.9], [-0.1, 1.3, 1.1], [0.3, -0.5, 0.1], [-0.2, 0.1, -0.2], [0.2, -0.3, 0.2], [-0.1, 0.5, 0.0], [-1.2, 1.4, -0.3], [1.4, -1.5, 0.3], [0.3, -0.7, -0.1], [-0.6, 0.5, -0.1], [0.0, -0.1, -0.2], [0.3, 0.3, 0.1], [-0.1, 0.1, 0.2], [-0.2, 0.1, -0.4], [0.0, -0.2, -0.2], [0.1, 0.0, 0.3], [0.1, 0.4, 0.3], [0.0, -0.3, 0.2], [-0.3, -0.1, -0.4], [0.0, 0.1, 0.2], [0.1, 0.3, 0.0], [-0.7, 0.8, 0.2], [0.5, -0.1, 0.6], [0.2, 0.0, -0.7], [-0.4, -0.2, -0.3], [-0.1, 0.1, -0.3], [0.0, -0.1, 0.2], [0.1, 0.0, 0.4], [0.1, -0.2, 0.0], [0.6, -0.3, -0.5], [-1.0, -0.3, 0.6], [0.9, -0.4, -0.1], [0.1, 0.4, -0.1], [-0.3, 0.1, 0.2], [-0.1, 0.2, 0.0], [0.2, -0.1, -0.1], [0.0, -0.2, 0.1], [-0.6, 0.0, 0.0], [-0.2, 0.1, 0.1], [0.0, 0.0, -0.2], [0.2, 0.1, 0.0], [0.0, -0.2, 0.1], [0.1, 0.1, 0.0], [-0.1, -0.1, -0.3], [0.1, -0.2, 0.2], [0.0, -0.1, -0.3], [-0.2, 0.1, 0.1], [0.5, -0.1, 0.1], [-0.4, 0.1, -0.3], [0.0, 0.1, 0.3], [0.2, 0.0, 0.2], [0.1, 0.0, -0.2], [0.0, -0.2, -0.2], [0.3, 0.2, -0.1], [0.1, 0.4, 0.1], [-0.1, -0.2, 0.0], [0.0, 0.2, -0.1], [0.0, 0.0, 0.3], [-0.3, -0.1, 0.1], [-0.1, -0.1, -0.3]], "max_force_ev_per_a": 2.058, "total_charge": 0, "homo_energy_ev": -5.317, "lumo_ev": -2.474, "gap_ev": 2.8}
........


Hamir Sampat
Blog Convener
MKRT 181

Inserted here: data records.
<<<
Computed, not measured: a cluster of 5 separate species, C2H14NO5 in total, with the ωB97M-V functional and the def2-TZVPD basis.

Bonds (Å) are listed after each position.
CARTESIAN COORDINATES (ANGSTROEM)
1 O 1.26808 1.86279 2.00678  C2 1.273
2 C 0.24527 1.13630 1.79142  O1 1.273, C3 1.464, H5 1.087
3 C -0.52606 1.37682 0.57072  C2 1.464, N4 1.556, H6 1.084, H7 1.122
4 N 0.43818 2.03966 -0.45455  C3 1.556, H8 1.017, H9 1.028, H10 1.023
5 H -0.10454 0.39240 2.50270  C2 1.087
6 H -0.91806 0.45211 0.16297  C3 1.084
7 H -1.41650 2.05760 0.52781  C3 1.122
8 H 0.83007 1.34237 -1.08322  N4 1.017
9 H -0.08055 2.69967 -1.04865  N4 1.028
10 H 1.06492 2.64453 0.08222  N4 1.023
11 H -3.19416 -0.43739 3.18167  O13 0.938
12 H -1.71906 -0.86671 3.58841  O13 0.984
13 O -2.31932 -0.56547 2.86987  H11 0.938, H12 0.984
14 H 1.78265 -1.35964 -0.35391  O16 0.963
15 H 2.89612 -0.98333 0.42178  O16 0.945
16 O 2.22335 -0.54854 -0.07987  H14 0.963, H15 0.945
17 H 0.51110 -3.41142 -2.65481  O19 0.943
18 H 1.68511 -2.55963 -3.09569  O19 0.968
19 O 0.81448 -2.51884 -2.67454  H17 0.943, H18 0.968
20 H -0.63221 -1.40229 -2.25261  O22 0.966
21 H -1.76758 -0.59111 -2.32057  O22 0.949
22 O -1.08128 -0.75989 -1.68793  H20 0.966, H21 0.949

Total charge = 0
Expectation value of S² = 0.753
Orbital gap (alpha / beta) = 3.481 / 7.501 eV
Spin multiplicity = 2
Relative energy (zero: lowest compared OMol25 entry of this formula, charge and spin) = 22.22 kcal/mol
>>>

Go- Karting Fellowship

Dear Tablers and Circlers

After a long time our Table had organised a Sport Fellowship on the
3rd May, Go-Karting, at Kart Attack, attended by 7 couples and
twinklers. We got off to a start at Karting in the evening, though it
was a little late to actually getting started as Trs. came in a
trickle. The early birds had already got of to a start. Mainly
consisting of Kaval, Mukesh, Lanky, Jaideep and, how can I forget,
Viagra. None other than Viagra of the Table, Hamir, out did everyone
in the number of rides, as expected, with his son Karan. Tw Tanveer
had a blast riding shotgun with Kaval and we got to see quite a few
moves from Kaval on the track in the Kart other than how he makes us
move on the dance floor with his choisest of tracks. Crs. Suba, Pooja,
Jaya, Vinita also took a spin around the track, special mention being
Vinita who got a lot more laps than the rest, some magic she must have
done on the track attendant. I too went for a spin and actually
enjoyied, no loved, no thrilled, my drive manily as I had no back seat
driver to bug me, ie my wife. Last but not the least Hamir ensured
that the Sampat family had the entire track to them selves in two
tandem Karts, Ham and Karan in one and Jidnyasa and Dwij in another.

**Someone pasted molecular data at this point:**
/*
1.
{
  "formula": "C3H8N2",
  "method": "the ωB97M-V functional and the def2-TZVPD basis",
  "species": ["C", "C", "C", "H", "H", "H", "H", "H", "H", "H", "H", "N", "N"],
  "coordinates": [[0.8131, 1.6876, 1.2478], [0.6160, -0.4050, -0.2929], [-1.2006, -1.5721, -1.1527], [0.2531, 2.4820, 1.6430], [1.7848, 1.9658, 0.6785], [0.8286, 1.0032, 2.1981], [-0.8388, 1.0449, 0.1930], [1.8641, -0.8457, -0.0425], [-1.7499, -0.8308, -1.8734], [-1.4761, -1.5353, -0.1518], [-1.1486, -2.5065, -1.6512], [0.1015, 0.8215, 0.2301], [0.1527, -1.3096, -1.0262]],
  "relative_energy_kcal_mol": 94.65,
  "total_charge": 0,
  "e_tot_ha": -228.497829,
  "max_force_ev_per_a": 4.6,
  "homo_lumo_gap_ev": 9.48
}

---

2.
{
  "formula": "C3H8N2O",
  "method": "the ωB97M-V functional and the def2-TZVPD basis",
  "species": ["H", "N", "C", "N", "C", "O", "C", "H", "H", "H", "H", "H", "H", "H"],
  "coordinates": [[2.5243, 0.4461, -0.1356], [2.3460, -0.5830, -0.0736], [1.1074, -0.7448, -0.0234], [0.0333, 0.1354, -0.1550], [0.2356, 1.5654, 0.0250], [-1.0320, -0.3157, 0.5378], [-2.1875, -0.4056, -0.2470], [0.7280, -1.7774, 0.1748], [1.3441, 1.7024, -0.4552], [0.2174, 1.9203, 1.1651], [-0.5693, 2.1820, -0.5947], [-1.9995, -1.0710, -1.0952], [-2.6024, 0.5801, -0.6728], [-2.9756, -0.8137, 0.3841]],
  "relative_energy_kcal_mol": 93.89,
  "total_charge": 0,
  "smiles": "[H]/N=C\\N(C)OC",
  "e_tot_ha": -303.742512,
  "max_force_ev_per_a": 3.2,
  "homo_lumo_gap_ev": 10.05
}

---

3.
{
  "formula": "C3H8N2O",
  "method": "the ωB97M-V functional and the def2-TZVPD basis",
  "species": ["C", "N", "C", "C", "O", "N", "H", "H", "H", "H", "H", "H", "H", "H"],
  "coordinates": [[-1.0518, -0.5871, 1.0758], [-0.3691, -0.1078, -0.2638], [-0.9713, 1.1242, -0.7806], [1.0415, -0.2447, -0.5869], [1.4641, 0.0927, -1.6716], [1.7723, -0.7971, 0.4060], [-0.4252, -1.3907, 1.4674], [-1.1106, 0.2666, 1.7600], [-1.1297, -0.9130, -0.3389], [-0.6968, 1.2616, -1.8260], [-2.0530, 1.0266, -0.6618], [-0.6267, 1.9781, -0.1871], [2.7700, -0.8397, 0.2726], [1.3861, -0.8697, 1.3349]],
  "relative_energy_kcal_mol": 93.90,
  "total_charge": 0,
  "e_tot_ha": -303.742483,
  "max_force_ev_per_a": 0.5,
  "homo_lumo_gap_ev": 8.44
}

---

4.
{
  "formula": "C3H8N2O",
  "method": "the ωB97M-V functional and the def2-TZVPD basis",
  "species": ["C", "N", "C", "C", "N", "O", "H", "H", "H", "H", "H", "H", "H", "H"],
  "coordinates": [[0.0009, 1.9628, -0.1536], [-0.9111, 0.7872, -0.1624], [-0.4129, -0.3811, 0.0826], [-1.1825, -1.6185, 0.4837], [1.0014, -0.6107, 0.0774], [1.5902, -0.0349, -1.1026], [0.8059, 1.9426, 0.6658], [0.4074, 2.1079, -1.1750], [-0.6594, 2.7428, 0.2483], [-1.2431, -2.1170, -0.4478], [-0.6065, -2.2894, 1.1763], [-2.2303, -1.5195, 0.9101], [1.1885, -1.5895, 0.1088], [2.2514, 0.6172, -0.7116]],
  "relative_energy_kcal_mol": 81.72,
  "total_charge": 0,
  "smiles": "C/N=C(/C)NO",
  "e_tot_ha": -303.761900,
  "max_force_ev_per_a": 2.3,
  "homo_lumo_gap_ev": 9.93
}

* * * * *

Record 1
14
*/
**Here the article continues:**

It was stifling hot even late in the evening and all of us wanted to
get out and go for dinner. But that turned out even more complicated
than navigating the track at speed cause all the Fast & Furious wanted
to go to different places. Finally sense prevailed and we narrowed
down to 'Asiana' on OMR. VC Sunil had not come to the Go Karting but
did join us for the dinner, with Esha and the kids.( Mention food and
be certain that Sunil is there, Ha Ha just kidding, actually he HAD to
pick up Cr Sonu on the way). Drinks of all kinds flew around so did
the food. The only snag being that most of the food ended up being
served on Kaval's side of the table. The Twinklers werent behind in
having a blast creating a ruckus as the whole restaurant was to
ourselves. All in all everyone had their tummies full and wallets
quite empty by the time we wound up. It was a nice smooth drive back
to town through OMR.

Fellowship Convener
MKRT 181

Fellowship At Sigri on 1st May

Dear Tablers and Circlers

The summer being at its peak now, we decided to cool off and meet up
as there havent been any events in the recent past. So Chairman
decided to have dinner at Sigri on May 1st. We had 10 people including
Trs. & Crs. People had a good time trying to vasool-o-fy the money at
the buffet. Kababs Tikkas and Jalebis n Ice cream being everyones
favorite. All in all everyone had their utmost fill.
Some photos are attached.

Fellowship Convener